Data Sharing Plan ()

The goal of this data sharing plan is to support the FAIR Data Principles (Findable, Accessible, Interoperable, and Reusable). It serves as a general guide and allows the data contributor to describe the data that will be shared and how/when they will be released.

Commitment to Data Sharing

Data contributors are required by the to upload data generated in the performance of research funded by or on behalf of or one of its affiliates into a customized Synapse NF-OSI project space by the associated progress report deadline, though contributors are encouraged to upload data as soon as possible after being generated. Data will be embargoed from the public and accessible only to the data contributor, the NF-OSI data curation team at Sage Bionetworks, or staff and consultants, during the award period and for after the end date of the award, unless your contract with states otherwise. The embargo period will end earlier if the data is published or at the data contributor’s discretion. After the embargo period, the data will be made available to the broader research community via the Synapse platform. Any requests by an investigator for an extension of the embargo period (e.g., due to a delay in primary publication), must be made in writing to the Project Manager.

Data Sharing

Data contributors should upload the raw data from their research to enable the data to be analyzed by a third party. This includes any information necessary to interpret the data, such as a description of the cohort or the model system, experimental protocols, descriptions of study instruments and equipment, and code used to generate processed data. It is not necessary to share aggregated/finalized results (e.g. figures). Please see our help documentation for some data-specific examples and feel free to email us at with questions or for assistance.

Data will be shared in three stages:

Someone pasted calculated crystals at this point:
/*
(1)
This record from the Materials Project database describes a geometry-optimized Li6Zn3P4S16 structure. The functional is GGA-PBE.

a = 9.3157 Å, b = 11.6108 Å, c = 23.1288 Å
α = 90.03°, β = 90.04°, γ = 90.08°
With the nearest neighbours (Å) after each atom.
Atoms (fractional coordinates):
Li 0.0000 0.0000 0.0000  4 S 2.40-2.45
Li 0.0003 0.0013 0.7479  4 S 2.41-2.45
Li 0.0111 0.2494 0.8749  4 S 2.37-2.44
Li 0.2451 0.7376 0.7519  4 S 2.47-2.68
Li 0.2455 0.7400 0.9953  4 S 2.47-2.68
Li 0.4836 0.2493 0.8733  4 S 2.37-2.49
Li 0.4895 0.2506 0.1240  4 S 2.42-2.48
Li 0.4915 0.2473 0.6235  4 S 2.41-2.50
Li 0.4923 0.7473 0.3742  4 S 2.46-2.47
Li 0.4930 0.2481 0.3743  4 S 2.47
Li 0.4943 0.4949 0.9992  4 S 2.41-2.43
Li 0.4946 0.4956 0.7479  4 S 2.38-2.45
Li 0.4958 0.7459 0.6219  4 S 2.42-2.47
Li 0.4974 0.7474 0.1277  4 S 2.40-2.49
Li 0.5008 0.7471 0.8753  4 S 2.37-2.44
Li 0.7455 0.4935 0.8745  4 S 2.59-2.66
Li 0.7516 0.0008 0.8741  4 S 2.53-2.62
Li 0.9894 0.4958 0.4982  4 S 2.45-2.47
Li 0.9898 0.4995 0.2507  4 S 2.44-2.46
Li 0.9908 0.4966 0.0019  4 S 2.38-2.45
Li 0.9920 0.4935 0.7488  4 S 2.42-2.49
Li 0.9922 0.9984 0.2494  4 S 2.47-2.48
Li 0.9934 0.7466 0.8738  4 S 2.37-2.40
Li 0.9931 0.9978 0.4990  4 S 2.47
Zn 0.4947 0.4980 0.2489  4 S 2.36-2.38
Zn 0.4946 0.4975 0.4991  4 S 2.36-2.37
Zn 0.4955 0.9973 0.2502  4 S 2.36-2.37
Zn 0.4959 0.9998 0.0003  4 S 2.33-2.38
Zn 0.4958 0.9981 0.4990  4 S 2.36-2.38
Zn 0.4960 0.9993 0.7485  4 S 2.35-2.39
Zn 0.9876 0.7459 0.6227  4 S 2.36-2.40
Zn 0.9893 0.7483 0.1253  4 S 2.35-2.38
Zn 0.9936 0.2486 0.1241  4 S 2.36-2.39
Zn 0.9952 0.2476 0.3743  4 S 2.37
Zn 0.9947 0.2489 0.6255  4 S 2.36-2.40
Zn 0.9962 0.7477 0.3744  4 S 2.37
P 0.2402 0.5033 0.6232  4 S 2.05-2.07
P 0.2421 0.9964 0.1248  4 S 2.05-2.10
P 0.2440 0.5032 0.8743  4 S 2.03-2.08
P 0.2443 0.9978 0.3744  4 S 2.06
P 0.2450 0.4945 0.1251  4 S 2.01-2.11
P 0.2447 0.4976 0.3743  4 S 2.06-2.07
P 0.2458 0.9929 0.8747  4 S 2.02-2.11
P 0.2464 0.9968 0.6246  4 S 2.06-2.09
P 0.7445 0.2471 0.4994  4 S 2.06-2.07
P 0.7440 0.2479 0.2493  4 S 2.06-2.07
P 0.7443 0.7453 0.0014  4 S 2.02-2.12
P 0.7442 0.7482 0.2500  4 S 2.06
P 0.7437 0.7478 0.4987  4 S 2.06-2.07
P 0.7452 0.2408 0.9966  4 S 2.05-2.07
P 0.7448 0.2506 0.7475  4 S 2.01-2.12
P 0.7447 0.7546 0.7514  4 S 2.05-2.07
S 0.1194 0.3908 0.1772  1 P 2.07
S 0.1199 0.4032 0.9263  1 P 2.03
S 0.1211 0.6069 0.8200  1 P 2.08
S 0.1215 0.6096 0.5700  1 P 2.07
S 0.1248 0.6095 0.0735  1 P 2.11
S 0.1263 0.8839 0.6759  1 P 2.09
S 0.1278 0.1062 0.5735  1 P 2.06
S 0.1281 0.8860 0.9274  1 P 2.06
S 0.1293 0.8852 0.1771  1 P 2.06
S 0.1303 0.1090 0.3221  1 P 2.06
S 0.1305 0.3860 0.4265  1 P 2.07
S 0.1304 0.3897 0.6759  1 P 2.07
S 0.1305 0.8864 0.4268  1 P 2.06
S 0.1306 0.6093 0.3222  1 P 2.07
S 0.1317 0.0988 0.8232  1 P 2.02
S 0.1321 0.1090 0.0726  1 P 2.05
S 0.3543 0.3931 0.0702  1 P 2.01
S 0.3561 0.1020 0.6809  1 P 2.06
S 0.3556 0.6018 0.1812  1 P 2.07
S 0.3568 0.3978 0.5686  1 P 2.07
S 0.3581 0.8934 0.3186  1 P 2.06
*/

  1. Data and all associated metadata will be uploaded to the contributor’s Synapse NF-OSI project space hosted by Sage Bionetworks.

  2. During the embargo period, file metadata will be made publicly visible upon annotation of the uploaded data through the NF Portal to enable discovery of the dataset. The data itself, however, will only be accessible to , the Co-PIs of the project, and the Sage NF-OSI data curation team via the Synapse platform.

  3. Following publication of the data by the data contributor, or otherwise when chooses to make such data public in accordance with the terms of the applicable funding agreement (which in no event will be earlier than following completion of research), the data will be made available to the broader NF-OSI research community.

Data Licensing

Non-human-subjects data will be made publicly available under CC0 1.0 Universal, a Creative Commons license, by default. This is the equivalent to depositing the data in the public domain. Please be aware that you may be required to obtain permission from your institution to release data under this Creative Commons license. You are responsible for consulting with your institutional contacts and obtaining any required permission. Contributors may indicate certain Conditions of Use of the data by the broader research community under the Data Sharing Plan section below based on the nature of the data, any applicable informed consent, or prior contractual obligations.

Study Information

(Names may only contain: letters, numbers, spaces, underscores, hyphens, periods, plus signs, apostrophes, and parentheses!)

Datasets to be Deposited

Please complete details below about the datasets you expect to upload for this study. Use a unique name for each. (These datasets will be set up as folders in your Synapse project). For example, if you have a RNA Sequencing dataset in multiple aims, the Data Folders might be labeled RNA Sequencing - Aim 1, RNA Sequencing - Aim 2, etc. Use the "Description" field to provide more details of the experiment. If you cannot find the term "Type", "Assay", "Species", or "File format" that is appropriate for your experiment in the provided dropdown list, please email to request addition of the term. "Upload by" dates, "#Files", and "#Samples" can be estimates.

Other Resources

Optional non-data resources to be shared in Synapse. We currently accept protocols or materials related to tools. If the resource type of interest is not in the selection options, please let us know.

Governance Information

Data Use Modifiers/Conditions

Please indicate any additional Data Use Modifiers/Conditions as required by your contract, institutional policy, applicable informed consent form (e.g., IRB approval requirement), project-specific terms of use, etc. This will help us plan additional governance controls for data access and usage that may be needed.

For Human Data

Addendum 1

Guidelines for human sample data

Prior to submitting data each contributor will ensure that:

  • The data submission and subsequent data sharing for general research purposes are consistent with applicable national, tribal and state laws and regulations as well as institutional policies.

  • An Institutional Review Board/Privacy Board or equivalent body, as applicable, has assured that submission and subsequent sharing of human data for general research purposes (including data such as that being submitted by the contributor) are consistent with the informed consent of study participants from whom the data was obtained.

  • The identity of research participants will not be disclosed to DCC members and/or Sage Bionetworks:

    • All submitted human data has been de-identified according to HHS 45 CFR 46.102(f) regulation and the de-identification standards of the HIPAA privacy rules, 45 CFR § 164.514(b), so that individual subjects’ identities cannot be ascertained by DCC members or through secondary data use.

    • The de-identified data has been assigned random, unique identifier codes that legally may be made visible to anyone on the web (i.e., the identifier codes do not include any information that can be used to re-identify the study participant).

    • The study PI will inform Sage Bionetworks if any metadata contains potentially identifiable information.

    • The data contributor will review data after submission, before they are released, to verify that no identifying information has been submitted accidentally.

    • Filenames will not contain identifiable information and legally may be made visible to anyone on the web.

  • The study PI will notify Sage Bionetworks if there are quality concerns about any data that has been submitted (not limited to potentially identifiable information).

  • Data quality corrections will be submitted as soon as possible.

Characterization of human samples

Please provide additional details for the human samples to help us determine governance.

Where were the human samples obtained?

Are the data being provided to Sage Bionetworks anonymized? Anonymization eliminates all personal data and any links between the data and a data subject held by any person anywhere, so that no one could identify the data subjects from the data, either alone or in combination with other information.

Is the data being provided to Sage Bionetworks de-identified according to HIPAA? De-identification in accordance with HIPAA requires removing all of 18 specific types of identifiers listed at 45 C.F.R. § 164.514(b)(2) or obtaining an expert opinion that the data are de-identified, following the standards set forth at 45 C.F.R. § 164.514(b)(1).

Does the human data constitute a Limited Data Set? A Limited Data Set is Protected Health Information (PHI) that excludes all identifiers of an individual except for ages over 89, dates related to the data subject (except for years) and geographic information at the zip code, town, city, or state level. Data that is Safe Harbor de-identified is not a limited data set.

Is the data from a vulnerable population (i.e., children, prisoners, pregnant women)?

Does the data include information about individuals that was collected either from the individuals or others located outside of the United States of America?

Please enter your name to match a PI or Data Lead listed above